This week in the Vorkosigan reread, we reach the dramatic climax of Cetaganda. Ivan gets kidnapped, Rian gets the key, Benin gets a promotion, Miles gets a medal, and then we all go home.
Surprising no one, the man behind the curtain of this entire plan was… Ilsum Kety. Just like Yenaro said. Bujold didn’t even try to distract us with a red herring. For his valuable contribution to smoking out the traitors (ie, for knowing a guy’s name) Yenaro gets a job as, like, fifth under-assistant to the 17th imperial perfumer. It’s a low-ranking job, but it’s a real one. My congratulations to Yenaro for turning a situation in which he was nearly killed by an exploding carpet into an opportunity for meaningful and remunerative employment in the arts. As Miles will point out when he delivers his own account of himself to the Emperor Giaja, the best strategies achieve their goals regardless of your survival. Yenaro has suffered a great deal, but in the long game of his own life, this is a remarkable success. Miles owes that maxim about strategy to Captain Cavillo, late of Randall’s Rangers. I am glad to see that she is still in Miles’s thoughts, though grateful that her perfume is no longer afflicting his sinuses.
********
7 unconnected molecules or ions with the total composition C61H136N5O4P2, computed with ωB97M-V/def2-TZVPD.

## Properties
Spin multiplicity: 1
Total charge: +3
E_LUMO in eV: -4.43
HOMO in eV: -7.89
Energy relative to the best compared isomer or geometry (same formula, charge and spin) in eV: 12.458
Strongest force on any atom in eV Å⁻¹: 3.5
Molecular weight in g/mol: 1065.74

Each line ends with the Löwdin charge.
Element x y z (Å)
P  14.4743  14.5843  24.9822  -0.155
O  12.9059  14.9223  25.1437  -0.668
O  14.6870  14.1212  23.4892  -0.640
O  14.8482  13.3559  25.8980  -0.637
O  15.4622  15.7863  25.3432  -0.651
C  12.5957  12.0961  15.8716  -0.088
C  12.4125  13.1514  16.9414  -0.303
C  11.7100  12.8434  18.2466  -0.137
C  11.5833  14.2519  19.1497  -0.023
N  10.5099  14.2693  20.2576  -0.267
C  9.1224  14.2881  19.6239  -0.100
C  9.0282  15.7303  19.0792  -0.146
C  9.5391  16.5210  20.3074  -0.150
C  10.4686  15.5952  21.0919  -0.061
C  10.5290  13.1082  21.1777  0.009
H  11.6741  11.9943  15.2985  0.080
H  12.7949  11.1273  16.3296  0.074
H  13.4531  12.3383  15.2436  0.081
H  11.9334  14.0608  16.5786  0.106
H  13.4099  13.4530  17.2614  0.109
H  12.4306  12.2247  18.7814  0.106
H  10.7391  12.4092  18.0082  0.108
H  11.2889  15.0603  18.4804  0.105
H  12.4302  14.6418  19.7143  0.131
H  8.3300  14.2116  20.3685  0.142
H  9.0178  13.5827  18.7996  0.130
H  7.9779  16.0203  19.0484  0.116
H  9.3969  15.9876  18.0863  0.116
H  8.8097  16.9812  20.9740  0.118
H  10.1269  17.3673  19.9519  0.110
H  10.1281  15.4116  22.1109  0.134
H  11.4827  15.9787  21.2046  0.132
H  10.5603  12.2439  20.5144  0.097
H  9.7230  13.0797  21.9110  0.114
H  11.4716  13.2171  21.7141  0.120
C  6.6533  20.2513  26.6929  -0.100
C  7.7947  19.2711  26.3459  -0.239
C  9.1283  19.6925  27.0043  -0.185
C  10.2996  19.4088  26.0733  -0.061
N  11.6876  19.8889  26.6239  -0.193
C  11.6896  21.3664  27.1140  -0.125
C  12.6199  22.0757  26.2782  -0.213
C  12.7700  21.2998  25.0132  -0.137
C  12.8284  19.9377  25.6616  -0.136
C  12.1418  18.9930  27.8463  0.057
H  6.9716  21.2277  26.3277  0.075
H  6.3168  20.3589  27.7240  0.078
H  5.6863  20.0654  26.2255  0.075
H  7.8033  19.1875  25.2591  0.107
H  7.5979  18.2384  26.6336  0.102
H  9.2490  19.3294  28.0249  0.114
H  8.9632  20.7599  27.1510  0.093
H  10.2823  20.0886  25.2214  0.129
H  10.4904  18.3938  25.7248  0.145
H  12.1145  21.5409  28.1025  0.138
H  10.6919  21.8055  27.1083  0.127
H  13.5273  22.2304  26.8619  0.135
H  12.1620  23.0535  26.1286  0.138
H  13.7127  21.6417  24.5861  0.129
H  11.9982  21.3502  24.2451  0.123
H  13.8072  19.8246  26.1277  0.142
H  12.8354  19.1153  24.9463  0.148
H  12.4905  18.0085  27.5345  0.111
H  11.3115  19.0446  28.5506  0.088
H  13.0298  19.4595  28.2729  0.096
C  18.2773  10.1389  18.1893  -0.084
C  16.9905  10.3578  19.0394  -0.262
C  16.9790  9.4567  20.2432  -0.208
C  15.7102  9.7540  21.1137  -0.057
N  15.9068  9.2549  22.6107  -0.208
C  14.6295  9.5772  23.3397  -0.122
********
Kety was assisted in his nefarious plan by the Haut lady Vio, wife of Ghem-General Chilian. Before she showed her hand by kidnapping Ivan, we had exactly 30 seconds of contact with Vio, when she glared angrily at the horizon during Lady D’Har’s garden party. The high Haut ladies deplore her failure to understand the goals of the Haut. This criticism would seem more serious if I understood the goals of the Haut. Indeed, there seems to be some disagreement about whether the late Celestial Lady’s goals should continue to be the goals of the Haut, or if the Haut should go in another direction to solve their problems. My best summary of those problems is that the Haut birth rate is declining so that the Haut Constellations can use their resources for a higher standard of living. That sounds more or less like what the middle class does with their family planning decisions almost everywhere but Barrayar. Lord Yenaro’s predicament—longevity and late retirements limiting employment opportunities for the younger generation—demonstrates why the Ghem might prefer a low birth rate. The limited number of Haut who occupy positions of political power suggest that the Haut may experience similar problems. (The opening of Sergyar to exploration and settlement in combination with an expanding domestic economy encourages a high Barrayaran birth rate—Aral discussed this with Cordelia back in Barrayar.)
Miles sees himself as having solved this mystery, but I’ve been rereading the Miss Marple mysteries in my spare time and consequently, I don’t. Miles was just a tool here. He knew he was working with (and to a certain extent, for) Rian. But the Haut are not individual actors. Until quite late in the story, Miles did not understand that Rian was acting as an agent of the Celestial Garden and the Haut consorts. This is basically a congress of fussy old ladies. Miles is blinded by Rian’s beauty, and finds the combines aesthetic impact of the Haut overwhelming. This leads him to overlook their crucial role in maintaining the Cetagandan status quo and defining the future direction of the Empire. The Haut needed some legs and eyeballs to carry out their investigation, and Miles was convenient. Miss Marple’s superpower is her ability to understand other people’s motivations—she’s never surprised by the sinister. The Haut aren’t either. They’re playing a game with very high stakes, it makes sense to them that someone would try to cheat.
Because he’s overwhelmed, Miles also misses the Haut ladies’ connection to his grandfather’s stories about fighting the Cetagandans. If Emperor Fletchir Giaja is older than Miles’s father but looks significantly younger, the Haut women who look old to Miles would have lived through a significant portion of Cetaganda’s war on Barrayar as adults. They would have looked at the invasion as the biological competition that would identify favorable genetic sequences to be incorporated in the Haut genome going forward. They might even have been involved in identifying genetic characteristics to include in the Haut genome that made that war, or military success in it, more likely. Miles doesn’t see these women as representatives of the force that repeatedly nuked his home planet. If he understood Cetagandan culture better, he might.
Miles’s major struggle in Cetaganda is to understand himself. His actions in this story were triggered by a chance hurtful remark from Ivan. We know that Ivan regards Miles with a great deal of affection, and feels responsible for his welfare. Ivan’s actions were critical to Miles’s survival at several points in this book, and will continue to be Miles’s saving grace in books yet to come. Miles and Ivan will have another conversation on the way home that salves Miles’s wounds. Ivan acknowledges that Barrayaran Social Darwinism is unnecessarily brutal. I don’t think Ivan knows he stuck his foot in his mouth, but what he says now is enough for Miles to know that the remark was careless. And what Miles says is enough for Ivan to know that Miles is grateful for his support.
Next week, we’re leaving these boys behind and taking a trip to Athos with Elli Quinn! We last saw the inestimable Quinn in The Warrior’s Apprentice where she distinguished herself by asking about her pension, getting her face burned off, and then taking down one of Miles’s creditors while blind. The book is titled Ethan of Athos, which I think is unfair, but I suppose “Elli Quinn on detached duty from the Dendarii Mercenaries” doesn’t fit easily on the cover of a mass market paperback. I guess that Ethan guy will be there too.
Ellen Cheeseman-Meyer teaches history and reads a lot.